6. Panzer-Division
- Details
- Published: 03 December 2011 03 December 2011
- Last Updated: 20 April 2012 20 April 2012

The 6. Panzer-Division was formed in October 1939 in Wuppertal from 1. Leichte-Division. It took part in the campaign in the west before being transferred to East Prussia in July 1940 and took part in Operation Barbarossa fighting on the northern sector. It was transferred to the central sector in October 1940 suffering heavy losses and it was sent to France in May 1942 for refitting.
It returned to the Eastern front in December and took part in the failed attempt to relieve the surrounded troops at Stalingrad. It later took part in the fighting at Kharkov and Kursk, before suffering heavy losses during the retreat through the Ukraine. It was refitted and transferred to the central sector where it remained until December 1944 when it was transferred to Hungary where it took part in the defense of Budapest. It withdrew to Austria in March 1945 fighting near Vienna and finally surrendered to the Red Army near Brünn.
Known war crimes
On the night 15-16 June 1940 soldiers from the division shot an unknown number of prisoners from the 12th RTS (Régiment de Tirailleurs Sénégalais), a colonial unit recruited from Senegal, in a forest near Brillon. (2)
Generalleutnant Werner Kempf (18 Oct 1939 - 06 Jan 1941)
Generalmajor Franz Landgraf (06 Jan 1941 - 01 Sep 1941)
Oberst Erhard Raus (01 Sep 1941 - 15 Sep 1941) m.d.F.b.
Generalmajor Franz Landgraf (16 Sep 1941 - 23 Nov 1941)
Generalmajor Erhard Raus (23 Nov 1941 - 26 Apr 1942) m.d.F.b.
Generalleutnant Erhard Raus (27 Apr 1942 - 07 Feb 1943)
Oberst Walther von Hünersdorff (07 Feb 1943 - 01 May 1943) m.d.F.b.
Generalmajor Walther von Hünersdorff (01 May 1943 - 14 July 1943) (1)
Oberst Martin Unrein (14 Jul 1943 - 24 Jul 1943) m.d.st.F.b.
Generalmajor Wilhelm Crisolli (25 July 1943 - 21 Aug 1943) m.d.F.b.
Oberst Rudolf Freiherr von Waldenfels (22 Aug 1943 - 30 Oct 1943) m.d.F.b.
Generalmajor Rudolf Freiherr von Waldenfels (01 Nov 1943 - 08 Feb 1944)
Oberst Werner Marcks (09 Feb 1944 - 19 Feb 1944) m.d.F.b.
Generalmajor Rudolf Freiherr von Waldenfels (20 Feb 1944 - 11 Mar 1944)
Oberst Walter Denkert (12 Mar 1944 - 27 Mar 1944) m.d.st.F.b.
Generalleutnant Rudolf Freiherr von Waldenfels (28 Mar 1944 - 22 Nov 1944)
Oberst Friedrich-Wilhelm Jürgens (23 Nov 1944 - 17 Jan 1945) m.d.st.F.b.
Generalleutnant Rudolf Freiherr von Waldenfels (18 Jan 1945 - 08 May 1945)
Area of operations
Poland & Germany (Oct 1939 - May 1940)
France (May 1940 - July 1940)
East Prussia (July 1940 - June 1941)
Eastern front, northern sector (June 1941 - May 1942)
France (May 1942 - Dec 1942)
Eastern front, southern sector (Dec 1942 - Mar 1944)
Eastern front, central sector (Mar 1944 - Dec 1944)
Hungary (Dec 1944 - Mar 1945)
Austria (Mar 1945 - May 1945)
Manpower strength (7 April 1945)
44 Officers
229 NCO
962 Soldiers
8 Operational tanks
Holders of high awards
Holders of the Close Combat Clasp in Gold (1)
- Richter, Franz 20.08.1944 Obergefreiter MG-Schütze i. d. 1./Pz.Gren.Rgt. 114
**Between two parts of the article: materials data:**
Calculated XRD peak list
Compound: Li5Mn8B8O24
Radiation: Cu Kα, 1.54184 Å
Structure: the GGA+U geometry in the Materials Project

```
Li5Mn8B8O24
1.0
5.2948 0.0000 0.0000
-0.0101 9.1542 0.0000
-0.1543 -0.3468 10.3617
Li Mn B O
5 8 8 24
direct
0.0000 0.0000 0.0000 Li
0.0280 0.9829 0.5110 Li
0.1727 0.1504 0.7714 Li
0.4878 0.4990 0.0271 Li
0.5254 0.4942 0.4927 Li
0.0111 0.3132 0.5365 Mn
0.1368 0.4830 0.2914 Mn
0.1564 0.8025 0.7897 Mn
0.5158 0.8358 0.5451 Mn
0.5182 0.1590 0.0385 Mn
0.6675 0.3428 0.7889 Mn
0.6854 0.9765 0.2832 Mn
0.9925 0.6642 0.0446 Mn
0.0039 0.6546 0.5346 B
0.0057 0.3212 0.0486 B
0.1536 0.4822 0.8097 B
0.1970 0.8138 0.3102 B
0.4977 0.8238 0.0373 B
0.5067 0.1559 0.5531 B
0.6629 0.9971 0.7945 B
0.6637 0.3120 0.2876 B
0.0029 0.6024 0.8425 O
0.0437 0.3585 0.7468 O
0.0493 0.9316 0.3273 O
0.1129 0.6885 0.2428 O
0.1261 0.4484 0.1005 O
0.1368 0.1951 0.0271 O
0.1392 0.5318 0.4844 O
0.1465 0.7759 0.5807 O
0.2467 0.8399 0.9962 O
0.2522 0.1361 0.5694 O
0.4016 0.4828 0.8421 O
0.4484 0.8137 0.3593 O
0.5110 0.4263 0.3134 O
0.5164 0.8882 0.7320 O
0.5265 0.1196 0.8461 O
0.5732 0.1825 0.2238 O
0.6104 0.6939 0.0533 O
0.6205 0.2910 0.5815 O
0.6416 0.9524 0.0681 O
0.6613 0.0388 0.5113 O
0.7490 0.6555 0.5405 O
0.7500 0.3339 0.0139 O
0.9184 0.9909 0.8058 O
0.9188 0.3114 0.3285 O
```

Largest 6 diffraction maxima, by angle, 2θ from 15° to 90°:
- 2θ 19.4, I 100
- 2θ 21.2, I 43
- 2θ 21.5, I 69
- 2θ 25.6, I 60
- 2θ 33.9, I 84
- 2θ 34.6, I 80

=====

Calculated XRD peak list
Compound: BaV10O15
Radiation: Cu Kα, 1.54184 Å
Structure: the GGA+U geometry in the Materials Project

```
BaV10O15
1.0
5.9092 -5.1819 0.0000
5.9092 5.1819 0.0000
0.0000 0.0000 9.7253
Ba V O
2 20 30
direct
0.0000 0.0000 0.0000 Ba
0.5000 0.5000 0.5000 Ba
0.0399 0.2147 0.6411 V
0.0799 0.4083 0.1199 V
0.0917 0.4201 0.3801 V
0.1802 0.8198 0.6350 V
0.2147 0.0399 0.3589 V
0.2853 0.4601 0.8589 V
0.3198 0.6802 0.1350 V
0.4083 0.0799 0.8801 V
0.4201 0.0917 0.6199 V
0.4601 0.2853 0.1411 V
0.5399 0.7147 0.8589 V
0.5799 0.9083 0.3801 V
0.5917 0.9201 0.1199 V
0.6802 0.3198 0.8650 V
0.7147 0.5399 0.1411 V
0.7853 0.9601 0.6411 V
0.8198 0.1802 0.3650 V
0.9083 0.5799 0.6199 V
0.9201 0.5917 0.8801 V
0.9601 0.7853 0.3589 V
0.0000 0.0000 0.5000 O
0.0395 0.2106 0.2591 O
0.0742 0.4258 0.7500 O
0.1137 0.6372 0.4977 O
0.1372 0.6137 0.9977 O
0.1583 0.8417 0.2462 O
0.2106 0.0395 0.7409 O
0.2389 0.2389 0.5000 O
0.2611 0.2611 0.0000 O
0.2894 0.4605 0.2409 O
0.3417 0.6583 0.7462 O
0.3628 0.8863 0.4977 O
0.3863 0.8628 0.9977 O
0.4258 0.0742 0.2500 O
0.4605 0.2894 0.7591 O
0.5000 0.5000 0.0000 O
0.5395 0.7106 0.2409 O
0.5742 0.9258 0.7500 O
0.6137 0.1372 0.0023 O
0.6372 0.1137 0.5023 O
0.6583 0.3417 0.2538 O
0.7106 0.5395 0.7591 O
0.7389 0.7389 0.0000 O
0.7611 0.7611 0.5000 O
0.7894 0.9605 0.2591 O
0.8417 0.1583 0.7538 O
0.8628 0.3863 0.0023 O
0.8863 0.3628 0.5023 O
0.9258 0.5742 0.2500 O
0.9605 0.7894 0.7409 O
```

Largest 6 diffraction maxima, by angle, 2θ from 15° to 90°:
- 2θ 25.9, I 66
- 2θ 28.4, I 62
Holders of the Commendation Certificate of the Commander-in-Chief of the Army (15)
Holders of the German Cross in Gold (124)
Holders of the German Cross in Silver (3)
- Dreibholz, Alfred 23.03.1945 Oberzahlmeister I./Pz.Gren.Rgt. 4
- Scholz, Dr. Wolfgang 22.07.1944 Oberfeldarzt Div.Arzt 6. Pz.Div.
- Wynen, Dr. Walter 02.12.1943 Stabsarzt z.V. San.Kp. 1/57
Holders of the Honor Roll Clasp of the Heer (28)
Crystal structures, as found in the file >
Starting from a cell relaxed with GGA-PBE, the powder XRD pattern of LaTm3Al2 was computed for Cu Ka.
Neutral-atom scattering factors, no anomalous dispersion.

```
data_LaTm3Al2
_chemical_formula_sum 'La1 Tm3 Al2'
_cell_length_a 3.522
_cell_length_b 3.522
_cell_length_c 12.610
_cell_angle_alpha 90.00
_cell_angle_beta 90.00
_cell_angle_gamma 90.00
_space_group_name_H-M_alt 'P 1'
_space_group_IT_number 1
loop_
_space_group_symop_operation_xyz
'x,y,z'
loop_
_atom_site_label
_atom_site_fract_x
_atom_site_fract_y
_atom_site_fract_z
_atom_site_occupancy
La1 0.000 0.000 0.000 1
Tm1 0.500 0.500 0.210 1
Tm2 0.500 0.500 0.500 1
Tm3 0.500 0.500 0.790 1
Al1 0.000 0.000 0.354 1
Al2 0.000 0.000 0.646 1
```

Top 8 peaks for 2θ = 10–90°, low angle first:
2θ = 25.29°, I 28
2θ = 28.31°, I 22
2θ = 29.04°, I 26
2θ = 33.19°, I 100
2θ = 36.07°, I 57
2θ = 46.47°, I 23
2θ = 57.44°, I 27
2θ = 63.03°, I 32

----------

Record 1
# DyErCo2Si2C
Simulated X-ray powder pattern, Cu Ka. Input: a cell relaxed with GGA-PBE.

Crystal structure
Unit cell a=10.525 b=3.858 c=6.764 alpha=90.00 beta=129.54 gamma=90.00
Element x y z (fractional)
Dy: 0.000 0.000 0.000
Dy: 0.500 0.500 0.000
Er: 0.127 0.000 0.593
Er: 0.627 0.500 0.593
Co: 0.263 0.500 0.385
Co: 0.365 0.000 0.209
Co: 0.763 0.000 0.385
Co: 0.865 0.500 0.209
Si: 0.219 0.500 0.000
Si: 0.408 0.000 0.594
Si: 0.719 0.000 0.000
Si: 0.908 0.500 0.594
C: 0.064 0.500 0.297
C: 0.564 0.000 0.297

Most intense lines, 2θ = 15–90°, sorted by position:
| 2θ (°) | I/Imax | hkl |
| --- | --- | --- |
| 25.56 | 59 | 1 1 0 |
| 26.36 | 32 | 2 0 -2 |
| 34.65 | 47 | 4 0 -2 |
| 34.78 | 76 | 3 1 -1 |
| 35.64 | 32 | 2 0 1 |
| 35.84 | 31 | 4 0 -1 |
| 36.98 | 100 | 1 1 -2 |
| 40.73 | 26 | 3 1 0 |
| 41.66 | 25 | 4 0 -3 |
| 47.11 | 32 | 0 2 0 |

***

Record 2
# GdDyCo2Si2C
Simulated X-ray powder pattern, Cu Ka. Input: a cell relaxed with GGA-PBE.

Crystal structure
Unit cell a=10.598 b=3.893 c=6.829 alpha=90.00 beta=129.77 gamma=90.00
Element x y z (fractional)
Gd: 0.000 0.000 0.000
Gd: 0.500 0.500 0.000
Dy: 0.373 0.500 0.405
Dy: 0.873 0.000 0.405
Co: 0.134 0.500 0.788
Co: 0.237 0.000 0.615
Co: 0.634 0.000 0.788
Co: 0.737 0.500 0.615
Si: 0.094 0.500 0.409
Si: 0.279 0.000 0.996
Si: 0.594 0.000 0.409
Si: 0.779 0.500 0.996
C: 0.435 0.000 0.699
C: 0.935 0.500 0.699

Most intense lines, 2θ = 15–90°, sorted by position:
| 2θ (°) | I/Imax | hkl |
| --- | --- | --- |
| 25.36 | 46 | 1 1 0 |
| 26.10 | 26 | 2 0 -2 |
| 34.40 | 39 | 4 0 -2 |
| 34.52 | 62 | 3 1 -1 |
| 35.51 | 26 | 2 0 1 |
| 35.66 | 25 | 4 0 -1 |
| 36.68 | 100 | 1 1 -2 |
| 40.51 | 22 | 3 1 0 |
| 41.24 | 21 | 4 0 -3 |
| 46.66 | 27 | 0 2 0 |

***

Record 3
# PrDyCo2Ge2C
Simulated X-ray powder pattern, Cu Ka. Input: a cell relaxed with GGA-PBE.

Crystal structure
Unit cell a=10.893 b=3.999 c=6.980 alpha=90.00 beta=128.76 gamma=90.00
Element x y z (fractional)
Pr: 0.000 0.000 0.000
Pr: 0.500 0.500 0.000
Dy: 0.118 0.000 0.589
Dy: 0.618 0.500 0.589
Co: 0.251 0.500 0.379
Co: 0.373 0.000 0.221
Holders of the Knight's Cross (50, including one unofficial/unconfirmed)
Order of battle (1940)
Panzer-Regiment 11
Panzer-Abteilung 65
Schützen-Brigade 6
Schützen-Regiment 4
Kradschützen-Bataillon 6
Artillerie-Regiment 76
Aufklärungs-Abteilung 57
Panzerjäger-Abteilung 41
Pionier-Bataillon 57
Nachrichten-Abteilung 82
Versorgungstruppen 57
Order of battle (1943)
- Divisional Staff
- 57. Mapping Detachment (mot)
11. Panzer Regiment
- Regimental Staff
- Signals Platoon
- Regimental Band
4. Panzergrenadier Regiment
- Regimental Staff
- Regimental Band
- Regimental Staff Company (mot)
- 2 x Battalion (mot)
114. Panzergrenadier Regiment
- Regimental Staff
- Regimental Band
- Regimental Staff Company (mot)
- Battalion (mot)
- Battalion (half-track)
-- begin --
Diffraction record for LiSm4Mo4O14. The powder X-ray diffraction pattern is calculated, not measured: it uses a crystal structure in Alexandria, relaxed with GGA+U and CuKα.

Structural model:
abc: 7.4784 7.4864 7.5073
angles: 60.82 60.73 60.64
Positions (direct):
Li (0.0000, 0.0000, 0.0000)
Sm (0.2695, 0.6996, 0.2588)
Sm (0.2765, 0.7337, 0.7257)
Sm (0.2910, 0.2336, 0.7484)
Sm (0.7592, 0.7174, 0.7668)
Mo (0.2574, 0.2289, 0.2490)
Mo (0.7587, 0.2323, 0.2551)
Mo (0.7591, 0.7268, 0.2535)
Mo (0.7631, 0.2316, 0.7437)
O (0.0855, 0.1349, 0.5830)
O (0.0990, 0.5542, 0.1644)
O (0.1051, 0.1563, 0.1450)
O (0.1282, 0.6052, 0.6292)
O (0.3615, 0.8624, 0.8850)
O (0.4119, 0.3125, 0.3550)
O (0.4226, 0.8963, 0.3417)
O (0.4343, 0.3247, 0.9055)
O (0.6622, 0.5810, 0.1578)
O (0.6730, 0.5735, 0.5815)
O (0.6785, 0.1199, 0.6023)
O (0.8485, 0.3162, 0.9082)
-- stop --
_The records of crystals stop here_
- Infantry Gun Company (self-propelled)
6. Reconnaissance Battalion
- Armored Car Company
- Armroed Car Platoon
- 2 x Motorcycle Company
- Heavy Reconnaissance Company (mot)
- Light Reconnaissance Supply Column (mot)
76. Panzer Artillery Regiment
- Regimental Staff
- 2 x Battery
- Battery (mot)
- Observation Battery (mot)
41. Panzerjäger Battalion
- Panzerjäger Company (mot)
- Panzerjäger Company (self-propelled)
298. Army Flak Battalion
- Staff & Staff Battery (mot)
- 2 x Heavy Flak Battery
- Light Flak Battery
- Flak Battery (self-propelled)
- Light Flak Supply Column (mot)
57. Panzer Pioneer Battalion
- Staff
- 2 x Pioneer Company (half-track)
- Pioneer Company (mot)
- Brüko K Bridging Column
- Light Pioneer Supply Column (mot)
82. Panzer Signals Battalion
- Panzer Telephone Company
- Panzer Radio Company
- Light Signals Supply Column (mot)
57. Feldersatz Battalion
- 4 x Company
Supply & Support Units
Notable members
Hermann von Oppeln-Bronikowski (Gold medal winner in the team dressage event in the 1936 Olympics)
Claus Schenk Graf von Stauffenberg (Active in the resistance against Hitler and the one who placed the bomb that were to kill Hitler 20 July 1944, he was executed after the failure of the July 20 Plot, the Bundeswehr barracks Graf-Stauffenberg-Kaserne in Sigmaringen was named in his honour 1961)
Panzer IV D of 6. Panzer-Division
(Courtesy of David Vercruysse)
PzKpfw. T-34 747(r) (conversion of a Soviet T-34), 7. Kompanie, 11. Panzer Regiment, 6. Panzer Division, 1943
(Courtesy of Thorleif Olsson)
Major Schenk, commander of Panzer-Abteilung 65, discussing in front of a Panzer 35t during the campaign in France 1940
(Courtesy of Bundesarchiv/Wikimedia, licensed under Creative Commons Attribution ShareAlike 3.0 Germany)
Motorcycle of 6. Panzer-Division with the special insignia used during the Kursk offensive
(Courtesy of Bundesarchiv/Wikimedia, licensed under Creative Commons Attribution ShareAlike 3.0 Germany)
Panzer IV crossing a stream on the Eastern Front in 1943
(Courtesy of Bundesarchiv/Wikimedia, licensed under Creative Commons Attribution ShareAlike 3.0 Germany)
1. Generalmajor Walther von Hünersdorff was shot in the head by a Soviet sniper on 14 July 1943 during the Battle of Kursk and died in the hospital in Kharkov on 17 July 1943.
2. "Hitler's African Victims: The German Army Massacres of Black French Soldiers in 1940" by Raffael Scheck, page 33-34.
Sources used
Microfilm Publication A-3356, German Officer Personnel files, NARA
RKT & DKiGT karteikarten, BA/MA
Dermot Bradley, Karl-Friedrich Hildebrand, Markus Rövekamp - Die Generale des Heeres 1921-1945
Wolf Keilig - Die Generale des Heeres
Andris Kursietis - Die Wehrmacht at War 1939-1945
François de Lannoy & Josef Charita - Panzertruppen: German armored troops 1935-1945
Dr. K-G Klietmann - Die Waffen-SS: eine Dokumentation
French Maclean - Quiet Flows the Rhine: German General Officer Casualties in World War II
Kurt Mehner - Die Deutsche Wehrmacht 1939-1945: Führung und Truppe
Samuel W. Mitcham Jr - The Panzer Legions: A guide to the German Army Tank Divisions of WWII and Their Commanders
Raffael Scheck - Hitler's African Victims: The German Army Massacres of Black French Soldiers in 1940
Peter Schmitz, Klaus-Jürgen Thies, Günter Wegmann & Christian Zweng - Die deutschen Divisionen 1939-1945 (4 Vol)
Georg Tessin- Verbände und Truppen der deutschen Wehrmacht 1933-1945
Günther Wegmann - Die Ritterkreuzträger der Deutschen Wehrmacht, Teil VIII a: Panzertruppe, Band 1
Günter Wegmann & Christian Zweng - Formationsgeschichte u. Stellenbesetzung der deutschen Streitkräfte, 1815-1990, Teile IV, Abt. 1: Die Dienststellen, Kommandobehörden u. Truppenteile des Heeres, Oct.35-May.45
Reference material on this unit
K.H.Grams - Panzer Artillerie Regiment 76 1936-1945
Wolfgang Paul - Brennpunkte: Die Geschicte der 6. Pz Div
Helmut Ritgen - The 6th Panzer Division 1937-45
Michael Schadewitz - Panzerregiment 11/Panzerabteilung 65, 1937-1945. Panzerersatz- und Ausbildungsabteilung 11 (1939-1945)
Horst Scheibert - Bildband der 6. Panzer-Division
Horst Scheibert - Nach Stalingrad: 48 Kilometer! Der Entsatzvorstoß der 6. Panzerdivision Dezember 1942
Horst Scheibert - Panzer zwischen Don und Donez: Die Winterkämpfe 1942 – 1943
Hans Wijers - Storm Over the Steppe: The Actions of 6 Panzer-Division during the attempt by LVII Panzerkorps to relieve the Stalingrad Cauldron 1942